Oracle Networks: Connecting Smart Contracts to Reality

In the intricate world of blockchain technology, an ‘oracle’ is akin to a trusted envoy, a bridge that securely ushers real-world information into the realm of smart contracts. Imagine smart contracts as self-executing wizards, their every move pre-scripted in code. They are masterful at automating tasks within the blockchain, following a predetermined script with precision. Yet, within their digital sanctum, they remain oblivious to the bustling universe beyond—where real-world events and internet-born data constantly evolve.

Here’s where oracles step onto the stage, like messengers of old. They’re the ones who connect the dots, making the impossible marriage between smart contracts and external reality not just possible, but seamless. Oracles serve as the interdimensional portals, diligently plucking real-world data and ferrying it into the inner sanctum of the smart contract. They are the conduits of wisdom, empowering smart contracts to react and adapt based on the ever-shifting off-chain information, transforming what was once an isolated script into a dynamic, responsive force within the blockchain cosmos.

The Smart Contract Dilemma

Smart contracts are elegant pieces of code designed to automate processes, execute agreements, and transfer digital assets in a trustless environment. They are, essentially, the building blocks of decentralized applications (dApps), providing security and efficiency that traditional systems struggle to match.

Someone pasted records of crystals at this point >
-- begin --
Record 1
# NdZrCuOs

NdZrCuOs after structural relaxation (PBE, the Alexandria database).

Unit cell a=4.8342 b=4.8342 c=4.8342 alpha=60.00 beta=60.00 gamma=60.00
Fractional positions:
Nd  0.0000  0.0000  0.0000
Os  0.7500  0.7500  0.7500
Cu  0.2500  0.2500  0.2500
Zr  0.5000  0.5000  0.5000

- E_form: -0.3 eV/f.u.
- V: 80 Å³/cell
- M_tot: 0.0 μB/cell
- E: -7.245 eV/atom

Record 2
# Nd3Cu2P4

Nd3Cu2P4 after structural relaxation (PBE, the Alexandria database).

Unit cell a=3.9805 b=6.7235 c=8.5066 alpha=119.95 beta=90.00 gamma=107.22
Fractional positions:
Nd  0.6379  0.2758  0.7263
Nd  0.0000  0.0000  0.0000
Nd  0.3621  0.7242  0.2737
Cu  0.6808  0.3615  0.3756
Cu  0.3192  0.6385  0.6244
P  0.6797  0.3595  0.0980
P  0.3203  0.6405  0.9020
P  0.9110  0.8220  0.5923
P  0.0890  0.1780  0.4077

- E_form: -8.8 eV/f.u.
- V: 185 Å³/cell
- M_tot: 0.0 μB/cell
- E: -5.882 eV/atom
-- stop --

However, smart contracts have a limitation—they operate within the confined realm of the blockchain. While this ensures their security and immutability, it also means they cannot access data beyond the blockchain’s boundaries. Real-world data, like stock prices, weather updates, sports scores, or flight information, remains tantalizingly out of reach.

Enter Oracle Networks

Oracle Networks emerge as the connective tissue that links these digital agreements with the external world. Think of them as the “data conduits” of the blockchain ecosystem. They serve as trustworthy intermediaries that fetch, validate, and deliver real-time data to smart contracts. This enables smart contracts to interact with and respond to real-world events and information.

How Oracle Networks Work

Oracle Networks rely on a network of nodes or providers that specialize in retrieving specific types of data. These nodes source data from multiple, reputable off-chain sources, ensuring accuracy and reliability. Once the data is obtained, it goes through a validation process to prevent malicious or incorrect information from entering the blockchain.

Once the data is validated, it is fed into the smart contract, which can now use this information to trigger actions, release funds, or make decisions autonomously. This process takes place in near real-time, ensuring that smart contracts remain responsive and relevant to changing circumstances.

Inserted here: materials data.
┌──
Here is crystalline MgCuP2S at its relaxed geometry from Alexandria via LeMat-Bulk. Energies are from GGA-PBEsol.

Values from the calculation:
* ΔE_f (raw): 1067 meV per atom

Cell and atoms, written as CIF:
```
data_MgCuP2S
_cell_length_a 4.694
_cell_length_b 4.694
_cell_length_c 4.630
_cell_angle_alpha 90.00
_cell_angle_beta 90.00
_cell_angle_gamma 90.00
_space_group_name_H-M_alt 'P 4/m m m'
_space_group_IT_number 123
_space_group_name_Hall '-P 4 2'
loop_
_atom_site_label
_atom_site_fract_x
_atom_site_fract_y
_atom_site_fract_z
_atom_site_occupancy
Mg1 0.000 0.000 0.000 1
Cu1 0.500 0.500 0.500 1
P1 0.000 0.500 0.000 1
S1 0.000 0.000 0.500 1
```



Here is crystalline MgCuPS2 at its relaxed geometry from Alexandria via LeMat-Bulk. Energies are from GGA-PBEsol.

Values from the calculation:
* ΔE_f (raw): 250 meV per atom

Cell and atoms, written as CIF:
```
data_MgCuPS2
_cell_length_a 4.694
_cell_length_b 4.694
_cell_length_c 4.199
_cell_angle_alpha 90.00
_cell_angle_beta 90.00
_cell_angle_gamma 90.00
_space_group_name_H-M_alt 'P 4/m m m'
_space_group_IT_number 123
_space_group_name_Hall '-P 4 2'
loop_
_atom_site_label
_atom_site_fract_x
_atom_site_fract_y
_atom_site_fract_z
_atom_site_occupancy
Mg1 0.000 0.000 0.000 1
Cu1 0.500 0.500 0.500 1
P1 0.500 0.500 0.000 1
S1 0.000 0.500 0.500 1
```



Here is crystalline Mg2CuPb at its relaxed geometry from Alexandria via LeMat-Bulk. Energies are from GGA-PBEsol.

Values from the calculation:
* energy relative to the elements: 0.063 eV/atom

Cell and atoms, written as CIF:
```
data_Mg2CuPb
_cell_length_a 3.567
_cell_length_b 3.567
_cell_length_c 6.352
_cell_angle_alpha 90.00
_cell_angle_beta 90.00
_cell_angle_gamma 90.00
_space_group_name_H-M_alt 'P 4 m m'
_space_group_IT_number 99
_space_group_name_Hall 'P 4 -2'
loop_
_atom_site_label
_atom_site_fract_x
_atom_site_fract_y
_atom_site_fract_z
_atom_site_occupancy
Mg1 0.000 0.000 0.000 1
Mg2 0.500 0.500 0.267 1
Cu1 0.500 0.500 0.824 1
Pb1 0.000 0.000 0.548 1
```



Here is crystalline Mg2CuPb at its relaxed geometry from Alexandria via LeMat-Bulk. Energies are from GGA-PBEsol.

Values from the calculation:
* energy relative to the elements: 0.067 eV/atom

Cell and atoms, written as CIF:
```
data_Mg2CuPb
_cell_length_a 4.243
_cell_length_b 4.243
_cell_length_c 8.778
_cell_angle_alpha 90.00
_cell_angle_beta 90.00
_cell_angle_gamma 90.00
_space_group_name_H-M_alt 'I -4 m 2'
_space_group_IT_number 119
_space_group_name_Hall 'I -4 -2'
loop_
_atom_site_label
_atom_site_fract_x
_atom_site_fract_y
_atom_site_fract_z
_atom_site_occupancy
Mg1 0.000 0.000 0.000 1
Mg2 0.000 0.500 0.250 1
Cu1 0.000 0.500 0.750 1
Pb1 0.000 0.000 0.500 1
```



Here is crystalline Mg2CuPb at its relaxed geometry from Alexandria via LeMat-Bulk. Energies are from GGA-PBEsol.

Values from the calculation:
* energy relative to the elements: -0.039 eV/atom

Cell and atoms, written as CIF:
```
data_Mg2CuPb
_cell_length_a 3.230
_cell_length_b 3.230
_cell_length_c 7.718
└──
The materials data stop here.

Use Cases for Oracle Networks

DeFi (Decentralized Finance):

Misplaced data records
____________
# Mg2SnP2 (PBE, optimized geometry)
# ΔE_f, eV/atom: -0.160
# Fermi-level density of states, states/eV per cell: 1.586
# V, Å³ per atom: 21.46
data_Mg2SnP2
_cell_length_a 4.186
_cell_length_b 4.186
_cell_length_c 12.249
_cell_angle_alpha 90.00
_cell_angle_beta 90.00
_cell_angle_gamma 90.00
_space_group_name_H-M_alt 'I 4/m m m'
_space_group_IT_number 139
_space_group_name_Hall '-I 4 2'
loop_
_atom_site_label
_atom_site_type_symbol
_atom_site_fract_x
_atom_site_fract_y
_atom_site_fract_z
_atom_site_occupancy
Mg1 Mg 0.000 0.500 0.250 1
Sn1 Sn 0.000 0.000 0.000 1
P1 P 0.000 0.000 0.374 1

---

# MgSn3P (PBE, optimized geometry)
# ΔE_f, eV/atom: 0.774
# Fermi-level density of states, states/eV per cell: 4.147
# V, Å³ per atom: 29.90
data_MgSn3P
_cell_length_a 5.307
_cell_length_b 5.307
_cell_length_c 5.307
_cell_angle_alpha 90.00
_cell_angle_beta 90.00
_cell_angle_gamma 90.00
_space_group_name_H-M_alt 'P m -3 m'
_space_group_IT_number 221
_space_group_name_Hall '-P 4 2 3'
loop_
_atom_site_label
_atom_site_type_symbol
_atom_site_fract_x
_atom_site_fract_y
_atom_site_fract_z
_atom_site_occupancy
Mg1 Mg 0.000 0.000 0.000 1
Sn1 Sn 0.000 0.000 0.500 1
P1 P 0.500 0.500 0.500 1

---

# MgSnP2 (PBE, optimized geometry)
# ΔE_f, eV/atom: 0.174
# Fermi-level density of states, states/eV per cell: 10.032
# V, Å³ per atom: 19.33
data_MgSnP2
_cell_length_a 6.763
_cell_length_b 6.763
_cell_length_c 6.763
_cell_angle_alpha 90.00
_cell_angle_beta 90.00
_cell_angle_gamma 90.00
_space_group_name_H-M_alt 'F m -3 m'
_space_group_IT_number 225
_space_group_name_Hall '-F 4 2 3'
loop_
_atom_site_label
_atom_site_type_symbol
_atom_site_fract_x
_atom_site_fract_y
_atom_site_fract_z
_atom_site_occupancy
Mg1 Mg 0.000 0.000 0.000 1
Sn1 Sn 0.000 0.000 0.500 1
P1 P 0.250 0.250 0.250 1

---

# Mg3SnP (PBE, optimized geometry)
# ΔE_f, eV/atom: 0.491
# Fermi-level density of states, states/eV per cell: 2.926
# V, Å³ per atom: 28.99
data_Mg3SnP
_cell_length_a 5.253
_cell_length_b 5.253
_cell_length_c 5.253
_cell_angle_alpha 90.00
_cell_angle_beta 90.00
_cell_angle_gamma 90.00
_space_group_name_H-M_alt 'P m -3 m'
_space_group_IT_number 221
_space_group_name_Hall '-P 4 2 3'
loop_
_atom_site_label
_atom_site_type_symbol
_atom_site_fract_x
_atom_site_fract_y
_atom_site_fract_z
_atom_site_occupancy
Mg1 Mg 0.000 0.000 0.500 1
Sn1 Sn 0.000 0.000 0.000 1
P1 P 0.500 0.500 0.500 1

---

# Mg3SnP (PBE, optimized geometry)
# ΔE_f, eV/atom: -0.167
# Fermi-level density of states, states/eV per cell: 4.389
# V, Å³ per atom: 23.64
data_Mg3SnP
_cell_length_a 4.907
_cell_length_b 4.907
_cell_length_c 4.907
_cell_angle_alpha 90.00
_cell_angle_beta 90.00
_cell_angle_gamma 90.00
_space_group_name_H-M_alt 'P m -3 m'
_space_group_IT_number 221
_space_group_name_Hall '-P 4 2 3'
loop_
_atom_site_label
_atom_site_type_symbol
_atom_site_fract_x
_atom_site_fract_y
_atom_site_fract_z
_atom_site_occupancy
Mg1 Mg 0.000 0.000 0.500 1
Sn1 Sn 0.500 0.500 0.500 1
P1 P 0.000 0.000 0.000 1

---
____________

  • Lending and Borrowing: DeFi lending platforms use Oracle Networks to ascertain the real-time value of assets being used as collateral. If the value of collateral drops below a certain threshold, smart contracts can automatically trigger liquidation or margin calls.
  • Decentralized Exchanges: Oracle Networks provide accurate price feeds for various cryptocurrencies and assets. This ensures that decentralized exchanges can execute trades at fair market prices, facilitating efficient trading.
  • Derivatives and Yield Farming: DeFi platforms use Oracle Networks to determine the value of assets underlying derivatives contracts and calculate interest rates for yield farming strategies.


Supply Chain:

  • Real-Time Tracking: Oracle Networks enable smart contracts to access data from IoT devices, GPS systems, and other tracking mechanisms. This data can be used to monitor the movement and condition of goods throughout the supply chain.
  • Automated Payments: Smart contracts can automatically trigger payments to suppliers or logistics providers when predefined conditions, such as delivery confirmation, are met.
  • Inventory Management: Oracle Networks help maintain optimal inventory levels by providing real-time information on stock levels, reducing the risk of overstocking or stockouts.



  • Weather-Indexed Insurance: Insurance policies can use Oracle Networks to determine if specific weather conditions, such as hurricanes or droughts, have occurred in a particular region. Payouts are triggered automatically when predefined weather events take place.
  • Flight Delay Insurance: Smart contracts can access real-time flight data from Oracle Networks to verify flight delays. If a flight is delayed beyond a specified threshold, the insurance policy can automatically issue a payout.
  • Automated Claims Processing: Claims processing can be streamlined with Oracle Networks. When an insured event occurs and is verified through external data, smart contracts can automatically initiate the claims process, expediting payouts.


Gaming and Gambling:

  • Random Number Generation: Online casinos and gaming platforms often use Oracle Networks to obtain random numbers from trusted sources, ensuring fairness in games like dice or card games.
  • Sports Betting: Oracle Networks provide real-time sports scores, enabling smart contracts to determine the outcomes of bets. Winnings are distributed automatically based on the actual game results.
  • Transparency and Fairness: Oracle Networks enhance the transparency of online gaming and gambling platforms by verifying the fairness of games and ensuring that outcomes are not influenced by the platform operators.

These use cases demonstrate the versatility and transformative potential of Oracle Networks across various industries. By connecting smart contracts to real-world data, these networks unlock a world of automation, efficiency, and trust in blockchain-based applications.

Oracle Networks are the vital link that transforms smart contracts from isolated pieces of code into dynamic, real-world-responsive agents. They play a pivotal role in expanding the capabilities of blockchain technology, enabling a new generation of decentralized applications that can interact seamlessly with the ever-changing reality outside the blockchain. As blockchain adoption continues to grow, the role of Oracle Networks will only become more central in bridging the gap between the digital and physical worlds.